## Input
/*
Record 1
Material: Pu2HgBi
Method: DFT, meta-GGA r2SCAN
State: relaxed

The calculation puts the total energy at -70.598 eV/atom. As for the total magnetization: 12.9 μB/cell. Its space-group type is Fm-3m, No. 225. For the formation energy, the calculation gives -43.64 kJ/mol of atoms.

Unit cell a=5.413 b=5.413 c=5.413 alpha=60.00 beta=60.00 gamma=60.00
Sites, in units of the cell vectors:
Pu 0.250 0.250 0.250
Pu 0.750 0.750 0.750
Hg 0.000 0.000 0.000
Bi 0.500 0.500 0.500

=====

Record 2
Material: Tb3SmNi4
Method: DFT, meta-GGA r2SCAN
State: relaxed

The calculation puts the total energy at -21.801 eV/atom. As for the total magnetization: 0.0 μB/cell. Its space-group type is Pmm2, No. 25. For the formation energy, the calculation gives -37.03 kJ/mol of atoms.

Unit cell a=3.732 b=4.214 c=10.212 alpha=90.00 beta=90.00 gamma=90.00
Sites, in units of the cell vectors:
Tb 0.000 0.000 0.000
Tb 0.000 0.500 0.275
Tb 0.500 0.500 0.780
Sm 0.500 0.000 0.501
Ni 0.000 0.000 0.714
Ni 0.000 0.500 0.571
Ni 0.500 0.000 0.208
Ni 0.500 0.500 0.068

=====

Record 3
Material: BeAl6O10
Method: DFT, meta-GGA r2SCAN
State: relaxed

The calculation puts the total energy at -9.460 eV/atom. As for the total magnetization: 0.0 μB/cell. Its space-group type is P2_1/c, No. 14. For the formation energy, the calculation gives -319.89 kJ/mol of atoms.

Unit cell a=8.916 b=13.803 c=9.543 alpha=90.00 beta=90.03 gamma=90.00
Sites, in units of the cell vectors:
Be 0.156 0.144 0.126
Be 0.156 0.356 0.626
Be 0.344 0.645 0.372
Be 0.344 0.855 0.872
Be 0.656 0.145 0.128
Be 0.656 0.355 0.628
Be 0.844 0.644 0.374
Be 0.844 0.856 0.874
Al 0.059 0.149 0.459
Al 0.059 0.351 0.959
Al 0.123 0.641 0.545
Al 0.123 0.859 0.045
Al 0.129 0.541 0.280
Al 0.129 0.959 0.780
Al 0.130 0.748 0.294
Al 0.130 0.752 0.794
Al 0.140 0.542 0.807
Al 0.140 0.958 0.307
Al 0.145 0.156 0.791
Al 0.145 0.344 0.291
Al 0.354 0.655 0.039
Al 0.354 0.845 0.539
Al 0.365 0.040 0.030
Al 0.365 0.460 0.530
Al 0.366 0.043 0.558
Al 0.366 0.457 0.058
Al 0.370 0.248 0.045
Al 0.370 0.252 0.545
Al 0.377 0.141 0.295
Al 0.377 0.359 0.795
Al 0.443 0.649 0.706
Al 0.443 0.851 0.206
Al 0.557 0.149 0.794
Al 0.557 0.351 0.294
Al 0.623 0.641 0.205
Al 0.623 0.859 0.705
Al 0.630 0.748 0.455
Al 0.630 0.752 0.955
Al 0.634 0.543 0.942
Al 0.634 0.957 0.442
Al 0.635 0.540 0.470
Al 0.635 0.960 0.970
Al 0.646 0.155 0.461
Al 0.646 0.345 0.961
Al 0.855 0.656 0.709
Al 0.855 0.844 0.209
Al 0.860 0.042 0.693
Al 0.860 0.458 0.193
Al 0.870 0.248 0.206
Al 0.870 0.252 0.706
Al 0.871 0.041 0.220
Al 0.871 0.459 0.720
Al 0.877 0.141 0.955
Al 0.877 0.359 0.455
Al 0.941 0.649 0.041
Al 0.941 0.851 0.541
O 0.001 0.059 0.852
O 0.001 0.441 0.352
O 0.005 0.743 0.631
O 0.005 0.757 0.131
O 0.008 0.050 0.362
O 0.008 0.450 0.862
O 0.009 0.656 0.869
O 0.009 0.844 0.369
O 0.020 0.646 0.376
O 0.020 0.854 0.876
O 0.241 0.649 0.711
O 0.241 0.851 0.211
O 0.244 0.238 0.206
O 0.244 0.262 0.706
O 0.245 0.056 0.710
O 0.245 0.150 0.970
O 0.245 0.350 0.470
O 0.245 0.444 0.210
O 0.248 0.556 0.447
O 0.248 0.944 0.947
O 0.249 0.053 0.200
O 0.249 0.447 0.700
O 0.253 0.651 0.218
O 0.253 0.849 0.718
O 0.255 0.738 0.455
O 0.255 0.762 0.955
O 0.259 0.552 0.961
O 0.259 0.948 0.461
O 0.260 0.150 0.461
O 0.260 0.350 0.961
O 0.480 0.148 0.128
*/

## Exercise
The reader should give back the block further up from the line with "0.870 0.248" to the end exactly.

## Completed
Al 0.870 0.248 0.206
Al 0.870 0.252 0.706
Al 0.871 0.041 0.220
Al 0.871 0.459 0.720
Al 0.877 0.141 0.955
Al 0.877 0.359 0.455
Al 0.941 0.649 0.041
Al 0.941 0.851 0.541
O 0.001 0.059 0.852
O 0.001 0.441 0.352
O 0.005 0.743 0.631
O 0.005 0.757 0.131
O 0.008 0.050 0.362
O 0.008 0.450 0.862
O 0.009 0.656 0.869
O 0.009 0.844 0.369
O 0.020 0.646 0.376
O 0.020 0.854 0.876
O 0.241 0.649 0.711
O 0.241 0.851 0.211
O 0.244 0.238 0.206
O 0.244 0.262 0.706
O 0.245 0.056 0.710
O 0.245 0.150 0.970
O 0.245 0.350 0.470
O 0.245 0.444 0.210
O 0.248 0.556 0.447
O 0.248 0.944 0.947
O 0.249 0.053 0.200
O 0.249 0.447 0.700
O 0.253 0.651 0.218
O 0.253 0.849 0.718
O 0.255 0.738 0.455
O 0.255 0.762 0.955
O 0.259 0.552 0.961
O 0.259 0.948 0.461
O 0.260 0.150 0.461
O 0.260 0.350 0.961
O 0.480 0.148 0.128